A few days ago a buddy of mine made me aware of the new TSMKOLLI. This device utilizes a guide camera, or any camera with a 1.25” nosepiece. The device has a lens at the front along with 4 LEDs inside the tube. This LEDs project a set of patterns onto the camera sensor. I found the instructions and demonstration video on Teleskop Service website to be kind of vague so after taking some time to get it figured out I thought I’d do a little write up for anyone else looking into this device or looking for a way to make collimation easier. In all fairness though, it only took me about 10 minutes of messing around with it to get a handle on what I’m looking at and what needs to be done. The device itself can accommodate both 2” and 1.25” focuser draw tubes. Besides removing the need to look down a focuser for collimation, the biggest advantage of this tool is that it doesn’t rely at all on center spots on the mirror. It uses only the reflections made by the mirrors and lens. That means if you have a center spot that isn’t set properly on the mirror (or don't have one at all) it doesn’t matter. There is also a 1.25” filter thread at the front of the device and according to TS using one will provide additional reflections which increase collimation accuracy. I don’t have any 1.25” filters on hand but I have ordered some and would be happy to update this thread with new images using them if anyone wants.

~~~
# 1
{
  "formula": "C7H6F2N",
  "method": "wB97M-V/def2-TZVPD",
  "elements": ["C", "H", "H", "N", "H", "C", "F", "H", "H", "C", "F", "C", "H", "C", "C", "C"],
  "positions_angstrom": [[-1.36646, 0.75680, -0.25722], [-0.45369, 2.54496, 0.27020], [-1.02613, -2.51183, 0.34018], [-1.72090, -0.62988, 0.21407], [1.72903, 2.59885, 0.15307], [-0.63995, -1.49254, 0.26380], [-2.34020, 1.54621, 0.26677], [-1.52157, 0.78105, -1.35577], [1.08101, -2.51986, 0.45992], [2.24091, 0.55785, -0.07303], [-2.85414, -1.12206, -0.35218], [-0.05957, 1.56542, 0.00353], [2.84699, -1.42999, -0.13180], [0.74962, -1.50928, 0.25482], [2.01437, -0.74631, -0.02508], [1.32069, 1.61060, -0.03128]],
  "forces_ev_per_angstrom": [[-0.91, 0.56, -1.12], [-0.09, -0.07, -0.28], [-0.07, 0.20, -0.02], [4.98, 0.89, -0.48], [-0.08, 0.04, -0.11], [-2.88, -0.83, 0.15], [-0.25, 0.01, 0.21], [0.12, -0.29, 0.35], [-0.26, -0.15, -0.21], [-1.41, 1.15, -0.72], [0.54, 0.19, 0.32], [0.43, 0.13, 0.69], [0.09, -0.06, 0.11], [3.07, 1.13, -0.34], [-2.30, -2.97, 0.84], [-0.98, 0.08, 0.61]],
  "e_homo_ev": [-14.31, -14.64],
  "total_charge": 1,
  "spin_multiplicity": 3,
  "orbital_gap_ev": [8.78, 6.66],
  "e_tot_ev": -14265.566,
  "s_squared": 2.066
}

---

# 2
{
  "formula": "C5H9CoO3",
  "method": "wB97M-V/def2-TZVPD",
  "elements": ["C", "C", "H", "H", "O", "H", "H", "C", "C", "H", "H", "O", "H", "H", "H", "C", "Co", "O"],
  "positions_angstrom": [[-4.67148, -1.35412, -2.89996], [0.12232, -0.94628, -0.96332], [0.73702, -0.10564, -0.63244], [-4.56907, -1.32441, -1.80609], [-4.11466, -0.16717, -3.45164], [-6.55899, -2.37268, -2.94924], [-4.11138, -2.22647, -3.27073], [-6.12575, -1.42827, -3.30562], [0.61662, -2.18020, -1.04547], [1.57792, -2.43763, -0.59647], [-6.69631, -0.59826, -2.86685], [-2.67602, 1.38632, -2.88711], [-6.23283, -1.38894, -4.39835], [0.24890, -2.89045, -1.78998], [-0.97228, -0.69730, -1.09284], [-2.82446, 0.14731, -3.14227], [-3.52473, 2.80720, -3.82567], [-1.92534, -0.67796, -3.37503]],
  "forces_ev_per_angstrom": [[0.23, -0.78, -0.04], [-1.22, 0.40, 0.69], [-0.23, -0.38, 0.63], [-0.02, 0.00, -0.19], [-0.69, 0.83, 0.59], [0.10, 0.24, -0.09], [-0.11, 0.26, 0.10], [-0.21, 0.03, -0.01], [0.58, 0.28, -0.87], [0.05, 0.31, -0.49], [0.13, -0.21, -0.14], [-0.12, 2.52, 0.03], [0.06, -0.02, 0.29], [-0.68, -0.25, 0.97], [1.62, -0.36, -0.80], [1.80, -3.48, -2.78], [0.46, -1.06, 0.71], [-1.73, 1.67, 1.39]],
  "e_homo_ev": [-8.38, -9.04],
  "e_above_lowest_kcal_mol": 0.00,
  "total_charge": 0,
  "spin_multiplicity": 5,
  "orbital_gap_ev": [8.61, 6.56],
  "e_tot_ev": -49095.288,
  "s_squared": 6.006
}

---

# 3
{
  "formula": "C17H36N2O2PS",
  "method": "wB97M-V/def2-TZVPD",
  "elements": ["H", "H", "P", "C", "H", "H", "N", "H", "C", "H", "H", "C", "H", "H", "H", "H", "H", "N", "H", "H", "H", "C", "C", "H", "S", "O", "H", "C", "C", "H", "H", "H", "H", "H", "C", "C", "C", "H", "H", "H", "C", "H", "H", "O", "H", "C", "H", "H", "C", "H", "H", "H", "C", "C", "C", "H", "H", "H", "C"],
~~~
For the demonstration I’m using an 8” GSO RC, 2” Esatto focuser w/ 2” compression ring adapter , ASI174mm mini guide camera, and Sharpcap on my laptop. Let me be clear that I understand the result shown below is not the absolute best possible collimation I could achieve. The purpose of this write up is more to demonstrate how the tool works. But as you’ll see after only 10 minutes learning the device and another couple minutes playing with the mirrors, I was able to achieve a reasonable level of collimation and would only require a small tweak to really nail.

The text is interrupted by molecular data
┌──
1.
C12H18N3O5Pt | the ωB97M-V functional and the def2-TZVPD basis

Geometry as XYZ:
```
39
Properties=species:S:1:pos:R:3:forces:R:3:mulliken_charge:R:1
Pt -0.13360 -0.18622 1.00046 0.3 0.7 -0.1 1.78
C -0.50179 1.92006 -1.65495 0.0 0.0 -0.1 -0.43
C -1.71685 1.14878 -1.21851 -0.2 -0.1 0.1 -0.73
O -1.36592 -0.16459 -0.70092 0.0 -0.2 -0.4 -0.70
C -1.24135 -1.15028 -1.75951 0.1 0.0 0.2 -0.47
C -0.79396 -2.47498 -1.18078 0.0 0.2 0.0 -0.82
O 0.42879 -2.32244 -0.48517 -0.1 -0.4 0.0 -0.42
C 1.60182 -2.19546 -1.26223 -0.1 0.1 0.0 -0.40
C 2.54288 -1.40726 -0.39270 0.1 0.1 0.2 -0.85
O 1.96642 -0.12491 -0.06083 -0.1 -0.1 -0.1 -0.45
C 2.29242 0.87912 -1.03040 0.0 -0.1 -0.1 -0.53
C 1.67285 2.20529 -0.66097 0.0 0.0 0.0 -0.78
O 0.27181 2.13004 -0.49671 0.1 0.2 0.1 -0.36
H -0.82291 2.86937 -2.09396 0.0 0.0 0.0 0.46
H 0.04920 1.36989 -2.42348 0.0 0.0 0.0 0.27
H -2.41682 0.99719 -2.03902 0.0 0.0 0.0 0.48
H -2.22432 1.66705 -0.40721 0.0 0.0 0.0 0.24
H -0.52344 -0.78336 -2.49629 0.0 0.0 0.0 0.33
H -2.21934 -1.24194 -2.23104 0.0 0.0 0.0 0.47
H -0.71876 -3.20829 -1.98845 0.0 0.0 0.0 0.44
H -1.51546 -2.83576 -0.44924 0.0 0.0 0.0 0.36
H 1.41022 -1.66341 -2.20020 0.0 0.0 0.0 0.29
H 2.01846 -3.17641 -1.50487 0.0 0.0 0.0 0.44
H 3.50947 -1.25655 -0.87340 0.0 0.0 0.0 0.51
H 2.68977 -1.92878 0.55114 0.0 0.0 0.0 0.35
H 1.96280 0.55141 -2.02149 0.0 0.0 0.0 0.35
H 3.37775 0.99502 -1.06007 0.0 0.0 0.0 0.47
H 1.95832 2.93858 -1.42196 0.0 0.0 0.0 0.42
H 2.06151 2.54213 0.29848 0.0 0.0 0.0 0.35
N -0.53132 1.16307 4.41716 -0.2 0.0 0.2 -0.26
C -0.43794 0.43277 3.33891 0.5 -0.2 -0.2 0.00
O 0.66124 0.02070 2.85876 -0.2 0.0 0.3 -0.59
C -1.56835 0.05674 2.40745 -0.1 -0.4 -0.2 1.40
C -2.10163 -1.28501 2.59960 -0.3 -0.1 0.3 -0.17
N -2.56711 -2.32719 2.74460 0.2 0.2 -0.1 -0.47
C -2.58227 1.06803 2.19529 0.0 0.1 0.0 -0.03
N -3.35745 1.89615 2.01446 0.0 0.0 0.0 -0.48
H -1.43542 1.43874 4.77090 0.0 0.0 0.0 0.24
H 0.30030 1.44272 4.91715 0.0 0.0 0.0 0.30
```
Positions in Å, forces in eV/Å.

Total charge: +1
Energy above the lowest of the compared OMol25 structures with the same formula, charge and spin (kcal/mol): 0.0
Total energy (eV): -30681.48601
HOMO (eV): -12.33
HOMO-LUMO gap (eV): 9.07
2S+1: 1

---

2.
C2H5OP | the ωB97M-V functional and the def2-TZVPD basis

Geometry as XYZ:
```
9
Properties=species:S:1:pos:R:3:forces:R:3:mulliken_charge:R:1
O -2.17664 -0.24639 -0.43933 2.5 1.8 -0.9 -0.55
P -0.88364 0.74094 0.26422 -0.7 -0.5 0.2 0.14
C 0.59102 -0.35240 0.52872 0.4 -1.2 1.4 -0.36
C 0.94521 0.68970 -0.46592 -3.9 -4.6 -2.1 -0.69
H -2.62706 -0.86954 0.11290 0.1 -0.5 0.9 0.31
H 0.30325 -1.44368 0.19435 1.1 2.3 0.4 0.27
H 1.27740 -0.23802 1.40275 -1.3 -0.8 -0.1 0.24
H 1.14201 0.19036 -1.39545 0.1 0.8 -0.8 0.26
H 1.42845 1.52903 -0.20224 1.7 2.7 0.9 0.36
```
Positions in Å, forces in eV/Å.

Total charge: 0
Energy above the lowest of the compared OMol25 structures with the same formula, charge and spin (kcal/mol): 31.9
Total energy (eV): -13489.49312
HOMO (eV): -8.92
HOMO-LUMO gap (eV): 9.91
└──
1. Focus camera so faint pattern is visible.
2. Set exposure so faint pattern is defined.
3. Adjust primary and secondary mirror until pattern is symmetrical.
4. A star test to verify collimation wouldn’t be a bad idea.
This is the biggest thing I had to figure out on my own. The instructions state the focus the camera and when done in the video it was easy to see the pattern change as the mirrors were adjusted. This was not my experience. When I focused as sharp as I could the pattern barely changed at all when adjusting the primary mirror. Eventually I found that if I moved the camera slightly intra-focus a fainter pattern shows up in the very middle and that was the key. On a well collimated telescope that pattern will appear symmetrical. As I purposefully took the telescope out of collimation, the pattern shifts and becomes uneven. Moving the primary and secondary will move the pattern in different ways as demonstrated by the video below. You need to work with both mirrors to make the inner pattern symmetrical. When the pattern is symmetrical, your mirrors are properly aligned. It could be possible that my pattern was different because it isn't the same telescope, but I suspect where one should focus may vary a bit based on the telescope they're trying to collimate.
The exposure needs to be at a point where the pattern inside the 4 LED spots are visible. You will see 2 different patterns here… 4 smaller bright dots just inside the 4 large LED spots, and a fainter pattern inside that. If you underexposure the camera you will not be able to see the fainter pattern and you need to because that is mostly where collimation is judged. If you over expose the camera you won't be able to see the faint pattern either. I think guide cameras or planetary cameras will be best to use because they can run at high FPS making it easier to get proper exposure. I took this footage in the early evening in my bright kitchen and dialing in the proper exposure was quite easy by setting the exposure time to 4.65 ms and gain to 0.
The image of the pattern is quite small so it would be a good idea to zoom in with your capture software. Again, I am using Sharpcap for this and zoomed in to 600% to make the inner patterns easier to see.
This is what the pattern looks like after collimating the telescope. As you see, with proper exposure and zoom the middle patterns are clearly defined and visible. Even a small change to mirror alignment is quite obvious on screen.

In this video you can see me demonstrate what happens to the pattern when I move the primary and secondary mirrors.
Demonstration Video